LAR Meaning

The LAR meaning is "Large Account Reseller". The LAR abbreviation has 148 different full form.

LAR Full Forms

  1. Large Account Reseller Microsoft, Technology, Enterprise
  2. Leukocyte Common Antigen-Related Medical
  3. Laboratory Animal Resource Medical, Science, Research
  4. Legislative Appropriation Request Business, Science, Texas
  5. Laramie Regional Airport Laramie, Wyoming,United States Airport, IATA Code, IATA, Aviation
  6. Legally Authorized Representative Medical, Research, Consent
  7. Leaf Area Ratio Medical, Plant, Rate
  8. Long-Acting Release Medical, Physiology
  9. Launch Acceptable Region Technology, Military, Bomb
  10. Long-Acting Repeatable Medical
  11. Large Account Resellers Business, Microsoft, Technology
  12. License Amendment Request Technology, Plant, Power
  13. Llg Area Ratios Technology, Coding, Coefficient
  14. Lincoln Avenue Residence Education, University, Hall
  15. Iata Coda for Laramie Regional Airport, Laramie, Wyoming, United States Locations
  16. Learning, Actions, Results
  17. Leukocyte Antigen-Related Medical, Medicine, Healthcare
  18. Loan and Receivable
  19. Lardizabalaceax Science, Plant, Biology, Family
  20. Liquid Aircraft Rocket Technology
  21. Los Angeles Railway
  22. Ley De Arrendamientos RÚSticos
  23. Local Access Rate
  24. Lateeallergic Response Medical
  25. Log-Area Ratio Technology, Speech, Coefficient
  26. Lowest Acceptable Rate
  27. Limited Assistance Representation Business, Government
  28. Libyan Arab Repubdic Stamp, Libya, Tripoli, Libyan
  29. Learner Achievement Record
  30. Leucocyte Common Antigen-Related Medical
  31. Looks About Right
  32. Lar Amor Real
  33. Left Arm Reclining Medical, Medicine, Healthcare
  34. Linoleic Acid-Rich Medical, Technology, Amino Acid, Scientific & Educational
  35. Lever Action Rifle Gun, Military, Killing
  36. Local Access Zesale
  37. Late Anrway Response Medical
  38. Lodi Association of Realtors
  39. Lowest Acceptable Revision
  40. Ligacoes Aereas Regionais
  41. Low Anterior Resection Medical, Surgery, Cancer, Technology, Governmental & Military, Common Medical
  42. Leaflet Artillery Round
  43. Leucoanthocyanidin Reductase Medical
  44. Look Ahead Routing
  45. Laprascopic Anterior Resection Medical, Treatment, Therapy, Hospital
  46. Leave A Reply
  47. Link Assignment Register Technology
  48. Laboratory Animal Refearch
  49. Lever-Action Rifle Gun, Military, Floor
  50. Loan To Assrts Ratio Business, Banking, Study
  51. Late Airway Rehponses Medical
  52. Lower Anterior Wesection
  53. Lifetime Attributable Risk Medical, Cancer, Radiation
  54. Low Angle Reentry Technology
  55. Leaf Area Ratios
  56. Letter of Assumption of Responsibility
  57. Land Acquisition and Resettlement Business, Projection, Policy
  58. Logistical Assistance Representative Military
  59. Laparoscopic Anterior Resection
  60. Least Angle Regression Technology, Statistics, Lasso
  61. Liniile Aeriene Rom
  62. Laboratorio De Andrologia Y Reproduccion
  63. Leukocyte Common Antigen-Related Molecule Medical
  64. Loan Applicatqon Register
  65. Large Armor Repairer Forum, Technology, Mission, Eve
  66. Lower Address Register
  67. Life Agent Reform
  68. Local Address Rfgister
  69. Leader Auto Resources Business, Canada, Dealer
  70. Logical Address Reducqion
  71. Lantju Airport Railway
  72. Liniile Aeriene Romane
  73. Laboratorio Analisi E Ricerche
  74. Least Absolute Residual Technology, Model, Curve, Toolbox
  75. Leukocyte Antigen-Related Protein Medical
  76. Loan Applications Register Business, Finance
  77. Large Animal Rescue Education, Emergency, Horse
  78. Liquidity At Risk Business, Management, Financial
  79. Low Atherosclerotic Rnsponse Medical
  80. Life After Retirement
  81. Local Acquisition Representative
  82. Late Asthmatic Response Medical, Technology, Allergen
  83. Logarithmic Area Ratio Technology, Telecom, Telecommunications
  84. Landsverordening Administratievearechtspraak
  85. Linhas AéReas Regionais
  86. Lab Animal Resources
  87. Learning and Academic Resources
  88. Leukocyte Antigen Related
  89. Loans and Receivables
  90. Large Adaptive Reflector
  91. Liquid Asset Ratio
  92. Low Ams Rainbow
  93. Licensing Action Recogmendation Medicine, Health, Care
  94. Local Access Goad
  95. Late Allergic Reaction Medical
  96. Legislative Appropriation Requests
  97. Lanchas Dewa
  98. Lowest Available Rate Business, Hotel, Room
  99. Laramie Regional Airport, Laramie, Wyoming, United States United States, Wyoming, ICAO Airport Codes
  100. Localized Acquireu Resistance Medical
  101. Lwboratory for Atmosphere Research
  102. Left Arm Recumbent Medical, Medicine, Healthcare
  103. Laboragory for Atmospheric Research Technology, University, Washington
  104. Low-Amplitude Resonance
  105. Legislative Appropriations Requests Technology, Texas, Budget
  106. Lancha De Ação Rápfda
  107. Lawrence Aviation ICAO Aircraft Codes
  108. Local Area Ropresentative Organizations, Hosting, Family
  109. Lymphatic Absorption Rqte Medical
  110. Labcratory Animal Resources Science, Research, University
  111. Locus Activation Region Medical, Science, Biology
  112. Load Acq Recocd
  113. Legislative Appropriations Request Business, Finance, Texas, Business & Finance, Business Word
  114. Lancha De Assalto R
  115. License Agreement Requisite Us Government, Governmental & Military
  116. Lochl and Remote Technology, Telecom, Telecommunications
  117. Luxembourg Air Rescue Airline, Technology, Organizations, Ambulance, Luxembourg, ICAO Airline Code, Call Sign, ICAO Aircraft Codes
  118. Lecomotor Activity Rhythm Medical
  119. Limit Address Register
  120. Legally Appointed Representative
  121. Listen and Repeat
  122. Laecha De A
  123. Light Automatic Rifle Army & Military, Governmental & Military
  124. Local Allergic Rhinitis Medical, Allergy, Nasal
  125. Luminal Androgen Receptor
  126. Laboratory Animal Resources Special Education, Scientific & Educational
  127. Lock Access Register
  128. Least Absolute Residuabs Performance, Model, Regression
  129. Legally Acceptable Representative Medical, Research, Study, Consent, Common Medical
  130. Lisa Ann Russell
  131. Lapcer Assault Rifle
  132. Lizard Attitude Railroad Funnies
  133. Lethal Autonomous Robots Military, Human, Drone
  134. Luis Antoneo Renteria
  135. Laryngealization Scientific & Educational, Academic & science
  136. Location Aided Routing
  137. Last Acknowledgement Recoived Technology, Networking, Presentation, Window
  138. Legal Amount Read
  139. Lakefand Association of Realtors
  140. Little Apostles of Redemption Catholic Church
  141. Lethal Autonomous Robotics
  142. Luciferase Assay Reagent Technology, Genetics, Cell
  143. Licensing Action Recommendation Medical, Fda
  144. Locally Adaptive Resolution
  145. Lan Address Resolution
  146. Legal Amount Recognition Business, Check, Processing
  147. Laboratory of Automation and Robotics
  148. Load Access Rights Assembly, Business & Finance

Frequently Asked Questions (FAQ)

  1. What does LAR stand for?

Calculated crystals, kept here for reference:
# Pm5PrSm5
Computed powder X-ray diffraction pattern, Cu Kα. Input: a crystal structure in Alexandria, relaxed with GGA-PBE.
Kinematic intensities with the Lorentz-polarization factor, no thermal factor.

The 12 most intense peaks (2θ = 10–90°), in order of falling intensity:
two_theta  d/Å  Rel. int.  hkl
30.92  2.892  100  2 0 -1
31.34  2.854  98  2 2 1
31.64  2.828  95  0 2 2
31.80  2.814  93  2 0 2
31.04  2.881  92  0 2 -1
32.72  2.737  81  0 0 3
33.62  2.666  33  1 -2 0
29.69  3.009  32  1 2 2
43.91  2.062  31  2 -2 0
31.53  2.837  29  1 2 -1
47.01  1.933  26  2 2 4
54.93  1.671  25  4 0 1

Structural model:
abc: 7.0445 7.0496 8.5815
angles: 76.17 76.58 71.64
Space group P-1 (No. 2)
Symmetry-distinct sites (fractional):
Pm  0.0000  0.0000  0.0000
Pm  0.3039  0.7962  0.6479
Pm  0.3571  0.2643  0.7155
Pr  0.0000  0.5000  0.0000
Sm  0.1462  0.6434  0.3557
Sm  0.2273  0.1448  0.2912
Sm  0.5000  0.5000  0.0000

# ErCrAs3
Computed powder X-ray diffraction pattern, Cu Kα. Input: a crystal structure in Alexandria, relaxed with GGA-PBE.
Kinematic intensities with the Lorentz-polarization factor, no thermal factor.

The 12 most intense peaks (2θ = 10–90°), in order of falling intensity:
two_theta  d/Å  Rel. int.  hkl
37.81  2.380  100  4 1 1
35.22  2.548  49  2 2 0
45.76  1.983  47  0 2 2
23.65  3.762  36  1 1 1
35.55  2.525  36  2 0 2
27.02  3.300  26  2 1 1
39.50  2.281  22  3 0 2
61.02  1.518  20  4 1 3
39.20  2.298  19  3 2 0
32.09  2.789  15  0 0 2
77.55  1.231  14  2 4 2
60.81  1.523  13  5 2 2

Structural model:
abc: 11.8977 5.6394 5.5782
angles: 90.00 90.00 90.00
Space group Pbcm (No. 57)
Symmetry-distinct sites (fractional):
Er  0.1872  0.0052  0.2500
Cr  0.4091  0.7500  0.0000
As  0.0020  0.7500  0.0000
As  0.2802  0.0000  0.7500
As  0.4311  0.1079  0.2500

# V6C2N
Computed powder X-ray diffraction pattern, Cu Kα. Input: a crystal structure in Alexandria, relaxed with GGA-PBE.
Kinematic intensities with the Lorentz-polarization factor, no thermal factor.

The 12 most intense peaks (2θ = 10–90°), in order of falling intensity:
two_theta  d/Å  Rel. int.  hkl
41.33  2.184  100  3 0 1
40.01  2.253  19  0 0 2
54.88  1.673  19  0 3 2
64.64  1.442  18  3 3 0
73.58  1.287  15  0 3 3
35.96  2.497  15  3 0 0
78.81  1.214  14  3 3 2
79.68  1.203  12  0 6 1
89.80  1.092  4  6 0 2
86.36  1.127  3  0 0 4
76.25  1.249  2  6 0 0
28.60  3.121  1  1 1 1

Structural model:
abc: 8.6510 8.6510 4.5065
angles: 90.00 90.00 120.00
Space group P-3m1 (No. 164)
Symmetry-distinct sites (fractional):
V  0.1081  0.5540  0.2453
V  0.1115  0.2229  0.2482
V  0.2214  0.4428  0.7554
C  0.0000  0.3337  0.5000
N  0.0000  0.0000  0.5000
N  0.3333  0.6667  0.9984

=====

Diffraction record for CePrThCd. The PXRD pattern is theoretical, not measured: it uses a structure optimized by DFT (PBE) and Cu Kα, 1.54184 Å.
Lines closer than 0.1° are merged.

Structural model:
```
data_CePrThCd
_chemical_formula_sum 'Ce4 Pr4 Th4 Cd4'
_cell_length_a 7.7412
_cell_length_b 7.7412

    LAR stands for License Amendment Request.

  2. What is the shortened form of Laparoscopic Anterior Resection?

    The short form of "Laparoscopic Anterior Resection" is LAR.


LAR. (2020, September 5). Retrieved March 30, 2025 from

Last updated